Territorial validity
The temporary frontier policy is valid also for the circulation in the EEA and Switzerland:
Austria, Belgium, Bulgaria, Cyprus, Croatia, Denmark, Estonia, Finland, France, Germany, Greece, Ireland, Iceland, Latvia, Liechtenstein, Lithuania, Luxemburg, Malta, Norway, The Netherlands, Poland, Portugal, Czech Republic, Slovak Republic, Romania, Slovenia, Spain, Sweden, Switzerland, Hungary.
┌──
Simulated powder XRD pattern
Compound: Ac2MgIn6Co
Radiation: λ = 1.5418 Å (Cu Kα)
Structure: a cell relaxed with PBE
Intensities are scaled so that the largest is 100.

Principal peaks in the range 10 to 90 degrees two-theta, sorted by position:
- 3.122 Å, rel. 15.9, (0 0 2)
- 3.032 Å, rel. 18.7, (2 0 0)
- 2.775 Å, rel. 38.1, (0 1 2)
- 2.727 Å, rel. 100.0, (0 2 1)
- 2.151 Å, rel. 18.5, (2 1 1)
- 1.750 Å, rel. 20.8, (2 2 0)

Structural model:
abc: 7.001 7.001 6.243
angles: 90.00 90.00 120.00
Fractional coordinates of all 10 atoms:
Ac 0.333 0.667 0.177
Ac 0.667 0.333 0.823
Mg 0.000 0.000 0.000
In 0.188 0.376 0.693
In 0.188 0.812 0.693
In 0.376 0.188 0.307
In 0.624 0.812 0.693
In 0.812 0.188 0.307
In 0.812 0.624 0.307
Co 0.000 0.000 0.500
└──
What is covered and what is not
The guaranteed limit of cover is the same in force in the visited Country of the accident. The temporary frontier policy does not cover own damages, both to the vehicle as to carried goods, driver’s injuries, theft, bad weather and whatever is not included in the motor third party liability according to the law of the Country of the accident.
Special cases
According to Directive CE-83/182 UCI issues temporary frontier policies also to motor vehicles for temporary importation from a Country outside EU only when the owner is not resident in Italy or in the EU and therefore the vehicle is not subject to re-registration in the Country of residence of the purchaser. This in application of art. 132 of the Italian Road traffic code (DLgs 20.4.1992, n. 285).
Documents required
The necessary documents to verify the above conditions are:
- front/back photocopy or scanned copy of a valid personal ID showing the place of residence
- in case the above ID does not show the place of residence, even if the owner of the vehicle is an Italian citizen registered in the AIRE and therefore resident abroad, a certificate of resaidence will be requested; as an option it is possible to fill in a self-certification of the insured person
- photocopy or scanned copy of the registration book of the vehicle (log book, carte-grise), i.e. the document which was issued when the vehicle was registered and which certificates the registration plate assigned to the vehicle, along with its official translation where necessary
- formal statement form
- Filled self-certification. Click here to download it
Please provide the above documents also in case of renewal of the policy, in order to show that the conditions foreseen by the law are still in force.
Note for the citizens who moved their residence to Italy from outside the EU:
Article 93-bis provides that the imported vehicle must be re-registered in Italy within 3 months from the acquisition of residence. UCI will not be able to insure the vehicle beyond such term, except in the cases provided for in paragraph 5 of the same article. In order to insure the vehicle before such term, it is necessary to prove the documentation attesting the date of acquisition of residence.
- Click here to download our underwriting policy VERSIONE ITALIANA – ENGLISH VERSION
- Click here to download our conditions of contract VERSIONE ITALIANA – ENGLISH VERSION
For any further information send an email to: polizzefrontiera@ucimi.it
Click here to view the information on privacy and the processing of your data
As from 1/6/2023 frontier policies are issued directly by UCI.
MILANO | UCI | polizzefrontiera@ucimi.it |
( Prices may change 15 days before their entry into force. )
Code | Description | Validity 15 days | Validity 30 days | Validity 45 days | Validity 90 days | Validity 180 days |
A | Autovetture | 120,00 | 145,00 | 190,00 | 245,00 | 390,00 |
B1 | Motocicli | 65,00 | 80,00 | 100,00 | 150,00 | 245,00 |
-- Between two parts of the text: data records --
____________
[1]
# Th2ScPd9
Theoretical X-ray powder pattern, Cu Kα X-rays. Input: a crystal structure in Alexandria, relaxed with PBE.
Intensities are scaled so that the largest is 1000.

Structural model:
```
Th2ScPd9
1.0
4.1626 0.0000 0.0000
0.0000 4.1626 0.0000
0.0000 0.0000 12.3742
Th Sc Pd
2 1 9
Direct
0.0000 0.0000 0.1748
0.0000 0.0000 0.8252
0.0000 0.0000 0.5000
0.0000 0.5000 0.0000
0.0000 0.5000 0.3422
0.0000 0.5000 0.6578
0.5000 0.0000 0.0000
0.5000 0.0000 0.3422
0.5000 0.0000 0.6578
0.5000 0.5000 0.1700
0.5000 0.5000 0.5000
0.5000 0.5000 0.8300
```

Peak list (10 most intense, 15° ≤ 2θ ≤ 90°, most intense first)
37.54°, 2.396 Å, intensity 1000
43.48°, 2.081 Å, intensity 335
75.87°, 1.254 Å, intensity 251
63.50°, 1.465 Å, intensity 202
43.90°, 2.062 Å, intensity 153
63.18°, 1.472 Å, intensity 109
76.47°, 1.246 Å, intensity 108
80.11°, 1.198 Å, intensity 104
25.80°, 3.454 Å, intensity 53
33.72°, 2.658 Å, intensity 45

[2]
# Th2ScPd7
Theoretical X-ray powder pattern, Cu Kα X-rays. Input: a crystal structure in Alexandria, relaxed with PBE.
Intensities are scaled so that the largest is 1000.

Structural model:
```
Th2ScPd7
1.0
0.0000 4.2569 8.6068
2.8177 0.0000 8.6068
2.8177 4.2569 0.0000
Th Sc Pd
2 1 7
Direct
0.1659 0.1659 0.8341
0.8341 0.8341 0.1659
0.5000 0.5000 0.5000
0.0000 0.0000 0.0000
0.0813 0.0813 0.4187
0.2500 0.2500 0.2500
0.4187 0.4187 0.0813
0.5813 0.5813 0.9187
0.7500 0.7500 0.7500
0.9187 0.9187 0.5813
```

Peak list (10 most intense, 15° ≤ 2θ ≤ 90°, most intense first)
37.82°, 2.379 Å, intensity 1000
38.31°, 2.350 Å, intensity 967
45.10°, 2.010 Å, intensity 606
24.49°, 3.636 Å, intensity 571
19.58°, 4.533 Å, intensity 553
63.67°, 1.461 Å, intensity 430
42.47°, 2.128 Å, intensity 361
78.98°, 1.212 Å, intensity 255
78.05°, 1.224 Å, intensity 237
38.84°, 2.319 Å, intensity 176

[3]
# ThSc2Pd4
Theoretical X-ray powder pattern, Cu Kα X-rays. Input: a crystal structure in Alexandria, relaxed with PBE.
Intensities are scaled so that the largest is 1000.

Structural model:
```
ThSc2Pd4
1.0
4.7175 0.0000 0.0000
0.0000 4.7175 0.0000
0.0000 0.0000 6.6425
Th Sc Pd
1 2 4
Direct
0.0000 0.0000 0.0000
0.0000 0.0000 0.5000
0.5000 0.5000 0.0000
0.0000 0.5000 0.2684
0.0000 0.5000 0.7316
0.5000 0.0000 0.2684
0.5000 0.0000 0.7316
```

Peak list (10 most intense, 15° ≤ 2θ ≤ 90°, most intense first)
38.21°, 2.355 Å, intensity 1000
69.01°, 1.361 Å, intensity 226
18.81°, 4.717 Å, intensity 177
29.98°, 2.981 Å, intensity 174
55.06°, 1.668 Å, intensity 116
69.19°, 1.358 Å, intensity 102
32.98°, 2.716 Å, intensity 91
23.12°, 3.846 Å, intensity 73
81.85°, 1.177 Å, intensity 64
51.30°, 1.781 Å, intensity 54

[4]
# ScTiPd4
Theoretical X-ray powder pattern, Cu Kα X-rays. Input: a crystal structure in Alexandria, relaxed with PBE.
Intensities are scaled so that the largest is 1000.

Structural model:
```
ScTiPd4
1.0
2.3602 -4.4234 0.0000
2.3602 4.4234 0.0000
-0.5856 0.0000 4.6716
Sc Ti Pd
1 1 4
Direct
0.0000 0.0000 0.0000
0.5000 0.5000 0.5000
0.1612 0.8388 0.5000
____________
-- Here the text continues --
B2 | Motocarri | 101,00 | 146,00 | 192,00 | 246,00 | 385,00 |
C1 | Autocarri | 495,00 | 700,00 | 980,00 | 1170,00 | 1860,00 |
C2 | Autocaravan, autoambulanze e carri funebri | 270,00 | 395,00 | 525,00 | 660,00 | 1055,00 |
D | Ciclomotori | 35,00 | 45,00 | 60,00 | 125,00 | 230,00 |
E | Autobus | 515,00 | 760,00 | 1015,00 | 1370,00 | 2055,00 |
Inserted here: calculated crystals >
Computed powder XRD pattern of KNa4SnSb3 for Cu Ka, from the GGA-PBE geometry in the Materials Project.
Kinematic intensities with the Lorentz-polarization factor, no thermal factor.

Top 12 peaks for 2θ = 10–80°, by angle:
| two_theta | d (Å) | I/Imax |
| --- | --- | --- |
| 11.24 | 7.871 | 92 |
| 20.42 | 4.349 | 71 |
| 21.17 | 4.196 | 93 |
| 21.92 | 4.054 | 94 |
| 29.48 | 3.030 | 90 |
| 29.58 | 3.020 | 99 |
| 33.47 | 2.677 | 62 |
| 34.10 | 2.629 | 71 |
| 34.37 | 2.609 | 65 |
| 36.31 | 2.474 | 100 |
| 37.57 | 2.394 | 57 |
| 38.21 | 2.355 | 56 |

Structure:
a = 9.2623 Å, b = 8.3917 Å, c = 17.4309 Å
α = 90.00°, β = 121.62°, γ = 90.00°
Atoms (fractional coordinates):
K (0.0877, 0.0245, 0.4129)
K (0.0877, 0.4755, 0.9129)
K (0.9123, 0.5245, 0.0871)
K (0.9123, 0.9755, 0.5871)
Na (0.1624, 0.1609, 0.0829)
Na (0.1624, 0.3391, 0.5829)
Na (0.1717, 0.6261, 0.7414)
Na (0.1717, 0.8739, 0.2414)
Na (0.2263, 0.5515, 0.4052)
Na (0.2263, 0.9485, 0.9052)
Na (0.4280, 0.5031, 0.2585)
Na (0.4280, 0.9969, 0.7585)
Na (0.5720, 0.0031, 0.2415)
Na (0.5720, 0.4969, 0.7415)
Na (0.7737, 0.0515, 0.0948)
Na (0.7737, 0.4485, 0.5948)
Na (0.8283, 0.1261, 0.7586)
Na (0.8283, 0.3739, 0.2586)
Na (0.8376, 0.6609, 0.4171)
Na (0.8376, 0.8391, 0.9171)
Sn (0.4787, 0.1517, 0.4099)
Sn (0.4787, 0.3483, 0.9099)
Sn (0.5213, 0.6517, 0.0901)
Sn (0.5213, 0.8483, 0.5901)
Sb (0.1642, 0.2404, 0.7609)
Sb (0.1642, 0.2596, 0.2609)
Sb (0.2331, 0.7113, 0.5849)
Sb (0.2331, 0.7887, 0.0849)
Sb (0.4849, 0.1996, 0.5775)
Sb (0.4849, 0.3004, 0.0775)
Sb (0.5151, 0.6996, 0.9225)
Sb (0.5151, 0.8004, 0.4225)
Sb (0.7669, 0.2113, 0.9151)
Sb (0.7669, 0.2887, 0.4151)
Sb (0.8358, 0.7404, 0.7391)
Sb (0.8358, 0.7596, 0.2391)


Computed powder XRD pattern of Pr3Mn4Sn4 for Cu Ka, from the GGA-PBE geometry in the Materials Project.
Kinematic intensities with the Lorentz-polarization factor, no thermal factor.

Top 12 peaks for 2θ = 10–80°, by angle:
| two_theta | d (Å) | I/Imax |
| --- | --- | --- |
| 31.37 | 2.852 | 100 |
| 31.71 | 2.822 | 30 |
| 32.68 | 2.740 | 99 |
| 38.76 | 2.323 | 42 |
| 40.49 | 2.228 | 21 |
| 43.03 | 2.102 | 39 |
| 47.26 | 1.923 | 14 |
| 50.91 | 1.794 | 16 |
| 57.30 | 1.608 | 15 |
| 62.71 | 1.482 | 14 |
| 65.60 | 1.423 | 17 |
| 70.98 | 1.328 | 23 |

Structure:
a = 8.7954 Å, b = 8.7954 Å, c = 8.7954 Å
α = 149.37°, β = 129.99°, γ = 59.79°
Atoms (fractional coordinates):
Pr (0.0000, 0.0000, 0.0000)
Pr (0.3721, 0.8721, 0.5000)
Pr (0.6279, 0.1279, 0.5000)
Mn (0.0144, 0.3279, 0.6865)
Mn (0.3586, 0.6721, 0.6865)
Mn (0.6414, 0.3279, 0.3135)
Mn (0.9856, 0.6721, 0.3135)
Sn (0.2157, 0.2157, 0.0000)
Sn (0.3010, 0.5000, 0.8010)
Sn (0.6990, 0.5000, 0.1990)
Sn (0.7843, 0.7843, 0.0000)


Computed powder XRD pattern of LaMg14B for Cu Ka, from the GGA-PBE geometry in the Materials Project.
Kinematic intensities with the Lorentz-polarization factor, no thermal factor.

Top 12 peaks for 2θ = 10–80°, by angle:
| two_theta | d (Å) | I/Imax |
| --- | --- | --- |
| 15.90 | 5.575 | 20 |
| 18.12 | 4.897 | 45 |
F1 | Rimorchi autocarri | 250,00 | 370,00 | 490,00 | 630,00 | 1035,00 |
F2 | Rimorchi autobus | 300,00 | 440,00 | 590,00 | 720,00 | 1080,00 |
F3 | Rimorchi campeggio, roulotte e portaimbarcazioni | 84,00 | 121,00 | 165,00 | 247,00 | 386,00 |